The reader should give back the whole of the rows underneath without altering anything.
-- begin --
[1]
DFT (ωB97M-V/def2-TZVPD) results for a structure of composition C18H58BInO17 at a distorted geometry.

Properties
total charge = +2
LUMO energy = -0.3971 hartree
molecular weight = 672.28 g mol⁻¹
HOMO = -13.73 eV
largest force on an atom = 0.0903 hartree/bohr
2S+1 = 1

CARTESIAN COORDINATES (ANGSTROEM)
In -0.66714 -0.59365 -0.31965
B 2.17846 0.52115 -0.75914
H 1.48305 1.33340 -0.61455
H 1.86420 -0.06179 -1.61100
H 3.20633 0.83502 -0.85514
H 2.01550 -0.10911 0.10135
C 2.35826 5.01722 1.35682
C 3.22618 3.88236 0.71744
O 2.79973 2.61405 1.04499
H 1.32104 5.00053 1.02216
H 2.73100 6.00012 1.06860
H 2.36303 5.00614 2.44675
H 4.21801 3.86959 1.16935
H 3.31617 3.97282 -0.36506
H 2.42394 2.09679 0.32886
C 0.90317 -3.71409 -1.67324
C 0.14409 -4.46030 -0.51455
O -1.03845 -3.67171 -0.12276
O 1.39612 -2.40627 -1.28524
H 0.21128 -3.73236 -2.51530
H 1.72113 -4.39484 -1.90907
H 0.62601 -4.37868 0.45972
H -0.02264 -5.50297 -0.78503
H -1.53272 -4.36450 0.32147
H 2.32827 -2.45486 -1.06089
C -4.28744 0.48917 -1.46579
C -4.32737 -1.06707 -1.23922
O -3.43291 -1.52348 -0.22012
O -2.91857 0.92080 -1.59009
H -4.68433 0.91095 -0.54238
H -4.92824 0.80937 -2.28734
H -4.07243 -1.54616 -2.18452
H -5.35858 -1.23790 -0.93016
H -4.00735 -1.81770 0.49055
H -2.83616 1.73823 -2.08669
C -1.21566 3.15393 1.02104
C -2.31904 2.34467 1.80497
O -1.97708 0.94954 2.05444
O -0.86665 2.49377 -0.18797
H -0.35818 3.23299 1.68930
H -1.55538 4.18089 0.88672
H -3.16122 2.14171 1.14342
H -2.78226 2.80629 2.67700
H -2.58927 0.56029 2.68318
H -0.56678 3.18498 -0.78289
C -4.34079 0.38984 3.95020
C -5.66035 0.09890 3.19083
O -5.58653 0.70750 1.93729
O -3.48188 -0.56931 3.48957
H -4.52417 0.30555 5.02136
H -3.89926 1.38154 3.85173
H -6.40218 0.68353 3.73488
H -5.97676 -0.94416 3.19456
H -6.35551 0.43465 1.43150
H -3.87534 -1.43377 3.62919
C 0.16369 -1.26169 3.44628
C -0.69174 -2.52289 3.21905
O -1.58080 -2.23095 2.13807
O 0.76762 -0.81142 2.28309
H 0.81933 -1.68389 4.20784
H -0.38527 -0.47232 3.95972
H -1.32153 -2.76127 4.07614
H -0.12275 -3.40751 2.93302
H -2.40418 -2.72455 2.13778
H 1.51425 -0.22826 2.43821
C 4.51751 -1.00785 2.19865
C 4.11097 -0.02085 3.31157
O 3.02323 0.72815 2.88242
O 4.79958 -0.44803 0.95648
H 3.59518 -1.51092 1.90823
H 5.33960 -1.64314 2.52831
H 4.99190 0.57638 3.54688
H 3.76293 -0.47272 4.24042
H 3.17458 1.23933 2.08405
H 4.01360 0.01398 0.65583
C -0.04327 -0.49949 -4.02825
C -1.27201 -1.43326 -4.11999
O -1.47053 -2.10526 -2.88915
O -0.31325 0.50880 -3.00647
H 0.02555 -0.13199 -5.05211
H 0.87279 -1.05834 -3.83688
H -1.15807 -2.23675 -4.84768
H -2.22815 -0.97794 -4.37807
H -1.90601 -2.94136 -3.07051
H 0.19355 1.30360 -3.18822
C 3.84099 0.29674 -3.99069
C 3.85436 0.26047 -5.55749
O 4.47280 1.48330 -6.03352
O 2.88895 1.11955 -3.55015
H 4.85136 0.64261 -3.77250
H 3.82105 -0.64269 -3.43825
H 2.88207 0.14056 -6.03537
H 4.60516 -0.44763 -5.90819
H 3.77355 2.11852 -5.86277
H 2.99505 1.16740 -2.59723

=====

[2]
DFT (ωB97M-V/def2-TZVPD) results for a structure of composition C18H58CuF4N5O18S4 at a distorted geometry.

Properties
total charge = -2
LUMO energy (alpha / beta) = 0.1391 / 0.0967 hartree
molecular weight = 900.49 g mol⁻¹
HOMO (alpha / beta) = 0.22 / -4.48 eV
largest force on an atom = 0.1835 hartree/bohr
2S+1 = 3

CARTESIAN COORDINATES (ANGSTROEM)
Cu -2.81741 3.09907 1.50851
N -1.51647 1.62603 0.71693
S -0.88769 1.23949 -0.62055
O -1.60256 0.37393 -1.53664
O 0.56332 1.07957 -0.66222
F -0.80986 2.73906 -1.25905
S -1.24853 0.01088 1.28173
O 0.09728 -0.39768 1.66353
O -2.07199 -1.09957 0.78848
F -1.76954 0.25768 2.80351
N 0.66505 3.01958 5.27622
S 0.93916 1.53221 5.47666
O -0.16862 0.69762 5.78807
O 2.29830 1.02963 5.73795
F 0.81240 1.29321 3.88464
S 1.11043 3.38606 6.83691
O 2.25153 4.31829 6.97379
O 0.94097 2.47830 7.97699
F -0.04236 4.44961 7.14468
O -2.29341 2.86597 3.68773
H -2.10880 2.05339 4.19780
C -0.44869 -2.83886 3.85029
C 1.02292 -3.27458 3.77676
C 1.91160 -2.52381 2.78636
O 1.57884 -2.98775 5.05877
H -0.40634 -1.81700 4.22725
-- stop --
[1]
DFT (ωB97M-V/def2-TZVPD) results for a structure of composition C18H58BInO17 at a distorted geometry.

Properties
total charge = +2
LUMO energy = -0.3971 hartree
molecular weight = 672.28 g mol⁻¹
HOMO = -13.73 eV
largest force on an atom = 0.0903 hartree/bohr
2S+1 = 1

CARTESIAN COORDINATES (ANGSTROEM)
In -0.66714 -0.59365 -0.31965
B 2.17846 0.52115 -0.75914
H 1.48305 1.33340 -0.61455
H 1.86420 -0.06179 -1.61100
H 3.20633 0.83502 -0.85514
H 2.01550 -0.10911 0.10135
C 2.35826 5.01722 1.35682
C 3.22618 3.88236 0.71744
O 2.79973 2.61405 1.04499
H 1.32104 5.00053 1.02216
H 2.73100 6.00012 1.06860
H 2.36303 5.00614 2.44675
H 4.21801 3.86959 1.16935
H 3.31617 3.97282 -0.36506
H 2.42394 2.09679 0.32886
C 0.90317 -3.71409 -1.67324
C 0.14409 -4.46030 -0.51455
O -1.03845 -3.67171 -0.12276
O 1.39612 -2.40627 -1.28524
H 0.21128 -3.73236 -2.51530
H 1.72113 -4.39484 -1.90907
H 0.62601 -4.37868 0.45972
H -0.02264 -5.50297 -0.78503
H -1.53272 -4.36450 0.32147
H 2.32827 -2.45486 -1.06089
C -4.28744 0.48917 -1.46579
C -4.32737 -1.06707 -1.23922
O -3.43291 -1.52348 -0.22012
O -2.91857 0.92080 -1.59009
H -4.68433 0.91095 -0.54238
H -4.92824 0.80937 -2.28734
H -4.07243 -1.54616 -2.18452
H -5.35858 -1.23790 -0.93016
H -4.00735 -1.81770 0.49055
H -2.83616 1.73823 -2.08669
C -1.21566 3.15393 1.02104
C -2.31904 2.34467 1.80497
O -1.97708 0.94954 2.05444
O -0.86665 2.49377 -0.18797
H -0.35818 3.23299 1.68930
H -1.55538 4.18089 0.88672
H -3.16122 2.14171 1.14342
H -2.78226 2.80629 2.67700
H -2.58927 0.56029 2.68318
H -0.56678 3.18498 -0.78289
C -4.34079 0.38984 3.95020
C -5.66035 0.09890 3.19083
O -5.58653 0.70750 1.93729
O -3.48188 -0.56931 3.48957
H -4.52417 0.30555 5.02136
H -3.89926 1.38154 3.85173
H -6.40218 0.68353 3.73488
H -5.97676 -0.94416 3.19456
H -6.35551 0.43465 1.43150
H -3.87534 -1.43377 3.62919
C 0.16369 -1.26169 3.44628
C -0.69174 -2.52289 3.21905
O -1.58080 -2.23095 2.13807
O 0.76762 -0.81142 2.28309
H 0.81933 -1.68389 4.20784
H -0.38527 -0.47232 3.95972
H -1.32153 -2.76127 4.07614
H -0.12275 -3.40751 2.93302
H -2.40418 -2.72455 2.13778
H 1.51425 -0.22826 2.43821
C 4.51751 -1.00785 2.19865
C 4.11097 -0.02085 3.31157
O 3.02323 0.72815 2.88242
O 4.79958 -0.44803 0.95648
H 3.59518 -1.51092 1.90823
H 5.33960 -1.64314 2.52831
H 4.99190 0.57638 3.54688
H 3.76293 -0.47272 4.24042
H 3.17458 1.23933 2.08405
H 4.01360 0.01398 0.65583
C -0.04327 -0.49949 -4.02825
C -1.27201 -1.43326 -4.11999
O -1.47053 -2.10526 -2.88915
O -0.31325 0.50880 -3.00647
H 0.02555 -0.13199 -5.05211
H 0.87279 -1.05834 -3.83688
H -1.15807 -2.23675 -4.84768
H -2.22815 -0.97794 -4.37807
H -1.90601 -2.94136 -3.07051
H 0.19355 1.30360 -3.18822
C 3.84099 0.29674 -3.99069
C 3.85436 0.26047 -5.55749
O 4.47280 1.48330 -6.03352
O 2.88895 1.11955 -3.55015
H 4.85136 0.64261 -3.77250
H 3.82105 -0.64269 -3.43825
H 2.88207 0.14056 -6.03537
H 4.60516 -0.44763 -5.90819
H 3.77355 2.11852 -5.86277
H 2.99505 1.16740 -2.59723

=====

[2]
DFT (ωB97M-V/def2-TZVPD) results for a structure of composition C18H58CuF4N5O18S4 at a distorted geometry.

Properties
total charge = -2
LUMO energy (alpha / beta) = 0.1391 / 0.0967 hartree
molecular weight = 900.49 g mol⁻¹
HOMO (alpha / beta) = 0.22 / -4.48 eV
largest force on an atom = 0.1835 hartree/bohr
2S+1 = 3

CARTESIAN COORDINATES (ANGSTROEM)
Cu -2.81741 3.09907 1.50851
N -1.51647 1.62603 0.71693
S -0.88769 1.23949 -0.62055
O -1.60256 0.37393 -1.53664
O 0.56332 1.07957 -0.66222
F -0.80986 2.73906 -1.25905
S -1.24853 0.01088 1.28173
O 0.09728 -0.39768 1.66353
O -2.07199 -1.09957 0.78848
F -1.76954 0.25768 2.80351
N 0.66505 3.01958 5.27622
S 0.93916 1.53221 5.47666
O -0.16862 0.69762 5.78807
O 2.29830 1.02963 5.73795
F 0.81240 1.29321 3.88464
S 1.11043 3.38606 6.83691
O 2.25153 4.31829 6.97379
O 0.94097 2.47830 7.97699
F -0.04236 4.44961 7.14468
O -2.29341 2.86597 3.68773
H -2.10880 2.05339 4.19780
C -0.44869 -2.83886 3.85029
C 1.02292 -3.27458 3.77676
C 1.91160 -2.52381 2.78636
O 1.57884 -2.98775 5.05877
H -0.40634 -1.81700 4.22725